At Thursday’s Board of Education meeting Greenwich High School student government leaders shared what was on the minds of their peers.
Student Body VP Omar Galal spoke emphatically about school spirit.
Omar, many will remember, organized the “Conga4All” event last June, an exhausting and exhilarating effort to beat a Guinness Record for the longest Conga Line, involving 64 laps around the track in Cardinal Stadium.
His effort raised thousands of dollars for River House.

At the GHS track, the Conga 4 All effort beat the Guinness World Record for the longest distance danced in a Congaline. June 17, 2023
Omar said the class of 2027 had entered Greenwich High School for the first time three weeks earlier and were ready to embark on their academic journey. He noted that same morning seniors were at Tod’s Point watching the “senior sunrise.”
“We looked out over the horizon to a new dawn,” he said. “If you walk around GHS today you will understand why I make reference to new beginnings. Much like our students, GHS is taking on new beginnings: the new student center, the new entryway, the new digital ID’s and the new athletic fields at the back.”

- - -
Ti2CoPbO6 | PBE with a Hubbard U | optimized geometry

a = 7.9688 Å, b = 7.9688 Å, c = 6.1272 Å
α = 106.57°, β = 106.57°, γ = 87.28°
Element x y z (fractional)
Ti 0.1516 0.3346 0.2056
Ti 0.3346 0.1516 0.7056
Ti 0.6654 0.8484 0.2944
Ti 0.8484 0.6654 0.7944
Co 0.2141 0.7859 0.2500
Co 0.7859 0.2141 0.7500
Pb 0.3132 0.6868 0.7500
Pb 0.6868 0.3132 0.2500
O 0.0783 0.7450 0.9123
O 0.1629 0.5695 0.3151
O 0.2550 0.9217 0.5877
O 0.2635 0.2659 0.4735
O 0.2659 0.2635 0.9735
O 0.4305 0.8371 0.1849
O 0.5695 0.1629 0.8151
O 0.7341 0.7365 0.0265
O 0.7365 0.7341 0.5265
O 0.7450 0.0783 0.4123
O 0.8371 0.4305 0.6849
O 0.9217 0.2550 0.0877

VASP energy: -7.674 eV/atom
Calculated volume: 17.86 Å³/atom
- - -
(The text goes on)

Omar Galal shared remarks with the Board of Education at Thursday’s meeting. Sept 21, 2023
He said while he knew the changes would be hugely beneficial for life at GHS in the long term, in the short term the changes were “tumultuous and reason for unfair criticism.”
“It is for this reason, that particularly at the beginning of the year, student government and student activities are paying special attention to school spirit. Integrating new changes will be most smooth when juxtaposed with school spirit.”
For example, he said, he said he believed the new digital school ID app, Minga, that students download to their cell phones would become increasingly popular as more ways are discovered to expand its function to class events, club activities and a channel for student feedback.
Later in the meeting, some parents sharply criticized Minga during public comment, fearing it would be an invasion of student privacy.
Omar said homecoming week was upcoming and will include a dance, themed dress-up days and the varsity football game against Darien High School.
Omar said he’d hope to be a “catalyst” for positive impact and an advocate for his peers.

Student Body President Caleb Kaalund shared remarks to the Board of Education at Thursday’s meeting. Sept 21, 2023
Student body president Student Body President Caleb Kaalund talked ‘seeing student government through a new lens.’
“I want to rebuild and restore student government to its pre-pandic glory,” Caleb said. “Covid took a huge toll on the effectiveness of our communication, as well as the overall excitement around student government.”
“I want students to feel exhilarated at school events again, and I want there to be more participation and to hear from the student body overall,” he added.
Caleb brought up the changes to the new furniture in the student center.
“I’ve heard both positive and negative feedback regarding this change,” Caleb said. “At the beginning of the year the new concept was not well received.”

Students in the GHS student center put red chairs over blue stools.
Caleb said he believed as students were adjusting to the change, and their feedback was improving.
As for student government, Caleb said they had organized subcommittees with specific focuses on topics including food service, the environment and advisor base. Their first executive comm meeting with newly elected representatives was scheduled for Sept 28.
As for the Minga app, Caleb was also optimistic. Noting that effective communication was the primary goal of the executive committee, he said Minga, would function as a “one-stop-shop for all things going on at GHS.”
School Spirit and Belonging
GEA president Lil Perrone talked about the recent Greenwich Youth Survey results.
“We all know the obvious – protective factors – the factors where there’s a lower likelihood of negative behavior. It’s not really much different with students and adults, but it impacts students more at this early stage in life: It’s having trusted adults, trusted friends, being involved in sports and community service, clubs and organizations – and those are things that are free that are offered through Greenwich Public Schools.”
“What really popped out at me – and remember this number – it’s pretty steady at 14 to 16% of our students don’t have any of these things. They don’t have a trusted friend or adults. They aren’t involved in sports or the community,” Perrone said. “Fourteen t0 sixteen percent of our students (say on the survey) I feel I’m not in control of my life. I feel I have no purpose. I feel I don’t have the ability to deal with disappointment. I feel teachers don’t care about me. I feel students don’t care about me. I’ve been bullied. I’m anxious quite often. I’m sad and depressed.”
“Now, this is a great school system – a great opportunity – but to me that’s not good enough. I think we need to take a deeper dive on why they’re feeling this way.”
John Fisher, PTA Council president, said while the Greenwich Together survey showed some positive trends, but the 26% rate of “persistent sadness” among students in grades 9-12 was troubling.
“Not surprisingly the findings also highlight, how important it is for schools and PTAs have the resources they need to create the opportunities for student engagement in sports, clubs, community service and other activities,” Mr. Fisher said. “It takes resources, it takes work, it takes effort.”
On the topic of Minga, Jackie Homan, of Greenwich Patriots, said there was a “sneaky implementation” the student ID app, and parents didn’t learn about it until the day of the student deadline to download it.
She said parents were told Minga would be used for hall passes, bus routes, library books, and exclusive announcements, and asked whether the Minga behavior or anti-bullying module would be added.
She likened the use of Minga to Covid protocols that included vaccine mandates, masks and vaccine cards. She warned of a slippery slope.
Andrew Walsh questioned whether Minga had been thoroughly vetted and tested. Referring to it as a “student tracking app,” he suggested students had been pressured to download it or they would miss out on important announcements.
He said the user agreement appeared to be a contract between the student and tech company, which is based in Canada.
He said the app company may sell student personal information by another company, including any company that may acquire it in the future.
“Did you know that service employs an AI bot to review student submissions and that it deletes and censors controversial content without human moderation. This could be a serious violation by GPS of students’ rights to free speech.”
During her superintendent’s update, Dr. Toni Jones said students who don’t own a cell phone were able to download the app to their school-issued Chrome Book. She noted the Chrome Books were upgraded during Covid and are far better and faster.
Dr. Jones said the only module GHS students have on Minga is the digital ID, but they are not required to actually show it when they arrive or depart.
“We are required to have IDs for our students,” Jones said. “They use them for their library books. They use them in the cafeteria.”
Jones said students cannot post on the app or communicate with one another.
“The administration can push information out to students.”
She noted at a well attended PTA meeting earlier in the week, there were very few questions about the app.
“I think it’s because the students are used to having an ID,” she said. “From a safety standpoint, any of you who have had teenagers know, getting them to keep up with that card in their pocket is hard. One thing they do keep up with is their phone. We did let the students know – we issue a digital device and if they’d rather have in on there.”
“The app is not being utilized in the ways some people have conveyed. I want to reassure you of that,” she said, adding, “In the state of Connecticut we have a data privacy agreement the companies must sign. The data privacy act is signed by Minga. It’s pretty rigorous.”
BOE chair Joe Kelly said he would reach out to Mr. Walsh following the meeting to look more specifically at his concerns. He noted that there are already sports apps and other apps and perhaps those should be looked at.
“If we paid for it. It is absolutely vetted and it has to go through the Connecticut Data Privacy Act,” she continued. “Remember, students put apps on their phones that we don’t know exist.”
Karen Kowalski asked if the notifications would also be sent by email.
Dr. Jones said students tend not to check email. “Students, if they have to go find it or look at an email, they’re not as likely to do that.”
Dr. Jones about 2,000 out of 2,700 students at GHS had already downloaded Minga, but if a student absolutely did not want to they could go to student activities and request a regular ID.
Karen Hirsh said she agreed that more information shared with parents would have been helpful. “But now we have the opportunity to do so and we are planning to, which is great.”
See also:
Students Respond to the Debut of New Furniture in GHS Student Center, Sept 4, 2023, by Sahar Shakib from the GHS class of 2024

Glass corridor in the front of Greenwich High School under construction for a new secure vestibule. Christina Downey, from the building committee said the project was moving along well and the project should be completed in August, in time for the start of the school next year. Sept 20, 2023

Inside the glass corridor where the work on a new secure vestibule is walled off while under construction. Sept 20, 2023